
What is Vertical Gardening?

We shared some plants we love to have in our condo units, but we realized it doesn’t really speak for those with a mean green-thumb. Some people enjoy gardening and fear that they’re missing out on so much when they move to a condo. In actuality, there’s really a lot of gardening/plant maintenance you can do if you’re up for it.

One of the latest trends is vertical gardening, where you can have a beautiful garden on your balcony/terrace without it taking up too much patio space. Here are some examples: Continue reading

Home Decor: Neutral is the New Black


Home decor is one of our favourite things to write about. How your home is decorated speaks volumes about your personality, style and living habits. For example, if you like antiques then some may think you’re a little more traditional. Sleek and clean designs screams modernity. We’re not picky, we like it all as long as it looks good. For those who are just starting to decorate their homes, or planning their potential new home, then starting off with the neutrals might be your best bet and you can go either modern or traditional with your scheme.

Here are some tips you should look into if you’re thinking of going neutral: Continue reading

Sake in the City: The Best Sake Bars in Toronto

One of our favourite weekend things to do is go for some really good Japanese food. We can’t get enough of sushi and sashimi, and find ourselves checking out every single spot in and around our favourite neighbourhoods. And no sushi meal is complete without a good bottle of sake.

Sake is an alcoholic beverage from Japan that’s made from fermented rice. It’s made from a brewing process, not unlike that of beer, but contains a much higher percentage of alcohol than both beer and wine (undiluted sake contains 18%-20% alcohol). Continue reading

Construction Continues at E Condos

We like to catch up with our team at E Condos at least once a month to check-in on the great progress! This project is near and dear to our hearts as it’s part of an important transformation in the city of one of the most populated neighbourhoods in Toronto. Yonge and Eglinton is in the midst of major changes and we’re proud to be a part of it.


The progress at E Condos is coming along nicely and we’re so excited to tell you about what’s going on! The shoring for the south tower will be complete in the next few weeks and once we’re done shoring, we’ll be moving on to bulk excavation. Get ready Yonge and Eg, we’re going to be digging! We’re also in the process of installing the hoarding at Yonge and Eglinton to protect our neighbours from construction.


The process of building a high-rise tower to stand the test of time is a lengthy one, and we want to make sure that E Condos is created to meet the highest standards. Each process is met with diligence by our amazing construction team and this will guarantee quality across the board at E Condos. Continue reading

How Bazis Builds Sustainable Buildings

We’ve been so enamoured with talks about condo design, wooden buildings and the ever-popular transit versus debate, that we’ve almost forgotten to talk about our own projects! Well, in case you’re wondering – everything is right on track at our various sites, but we are definitely excited for spring! This isn’t going to be a construction-based post, but rather a post highlighting how we build sustainable buildings and why we do it. Continue reading

Misplaced calculated crystals
'''
No. 1
For KBaYB6O12, a structure optimized by DFT (GGA-PBE) gives the calculated powder diffraction line list in this record (CuKα).
Peak positions follow from Bragg's law for the DFT cell and can differ from measured ones.

The 6 most intense peaks (15 to 90 degrees two-theta), sorted by position:
24.40 deg, 3.648 Å, I = 32.6, hkl 1 0 4; 24.58 deg, 3.622 Å, I = 81.5, hkl 1 1 0; 28.66 deg, 3.114 Å, I = 100.0, hkl 0 1 5; 28.87 deg, 3.092 Å, I = 43.6, hkl 0 2 1; 43.16 deg, 2.096 Å, I = 45.9, hkl 3 -1 4; 45.88 deg, 1.978 Å, I = 33.9, hkl 3 -2 5

Structural model:
abc: 7.2430 7.2430 17.9393
angles: 90.00 90.00 120.00
Space group R3 (No. 146, hexagonal axes)
Unique sites:
K  0.0000  0.0000  0.0000 x3
Ba  0.0000  0.0000  0.5808 x3
Y  0.0000  0.0000  0.7901 x3
B  0.0491  0.8319  0.3729 x9
B  0.1651  0.4492  0.8711 x9
O  0.0029  0.2501  0.8682 x9
O  0.0473  0.8359  0.2060 x9
O  0.0963  0.6759  0.3745 x9
O  0.1702  0.4553  0.0392 x9

No. 2
For BaLaB12, a structure optimized by DFT (GGA-PBE) gives the calculated powder diffraction line list in this record (CuKα).
Peak positions follow from Bragg's law for the DFT cell and can differ from measured ones.

The 6 most intense peaks (15 to 90 degrees two-theta), sorted by position:
21.09 deg, 4.213 Å, I = 60.6, hkl 1 0 0; 30.00 deg, 2.979 Å, I = 100.0, hkl 1 1 0; 36.96 deg, 2.432 Å, I = 41.7, hkl 1 1 2; 42.94 deg, 2.106 Å, I = 21.4, hkl 2 0 0; 48.31 deg, 1.884 Å, I = 48.8, hkl 2 1 0; 53.26 deg, 1.720 Å, I = 26.2, hkl 2 1 2

Structural model:
abc: 4.2106 4.2106 8.4345
angles: 90.00 90.00 90.00
Space group P4/mmm (No. 123)
Unique sites:
Ba  0.0000  0.0000  0.0000 x1
La  0.0000  0.0000  0.5000 x1
B  0.2022  0.5000  0.2543 x8
B  0.5000  0.5000  0.1038 x2
B  0.5000  0.5000  0.4010 x2


1.
Structure and computed powder diffractogram of SiNiSb (a PBE-relaxed structure; CuKα).
No peak broadening, texture or thermal motion is included.

Peak list (10 most intense, 10° ≤ 2θ ≤ 90°, low angle first)
| 2theta | I (rel.) |
| --- | --- |
| 25.2 | 33 |
| 30.4 | 39 |
| 31.6 | 63 |
| 34.9 | 92 |
| 39.9 | 100 |
| 46.1 | 54 |
| 54.0 | 53 |
| 61.2 | 18 |
| 69.2 | 19 |
| 78.1 | 25 |

```
data_SiNiSb
_cell_length_a 10.596
_cell_length_b 3.396
_cell_length_c 5.878
_cell_angle_alpha 90.00
_cell_angle_beta 90.00
_cell_angle_gamma 90.00
_symmetry_space_group_name_H-M 'P 1'
_symmetry_Int_Tables_number 1
_symmetry_space_group_name_Hall 'P 1'
loop_
_atom_site_label
_atom_site_type_symbol
_atom_site_fract_x
_atom_site_fract_y
_atom_site_fract_z
Si1 Si 0.124 0.000 0.000
Si2 Si 0.124 0.500 0.500
Si3 Si 0.876 0.000 0.000
Si4 Si 0.876 0.500 0.500
Ni1 Ni 0.000 0.000 0.333
Ni2 Ni 0.000 0.500 0.833
Ni3 Ni 0.500 0.000 0.332
Ni4 Ni 0.500 0.500 0.832
Sb1 Sb 0.337 0.000 0.665
Sb2 Sb 0.337 0.500 0.165
Sb3 Sb 0.663 0.000 0.665
Sb4 Sb 0.663 0.500 0.165
```

2.
Structure and computed powder diffractogram of La3SmDy6Er2 (a PBE-relaxed structure; CuKα).
No peak broadening, texture or thermal motion is included.
'''

How It’s Done: Shoring

shoring 2

Creating a building is a complicated endeavor, as we’re sure you’ve realized. Toronto is a city booming with construction professionals working to make beautiful, safe, and long-lasting infrastructure. Creating the things you see around when you walk down the street every day consists of thousands of processes developed by engineers, architects, and city planners. Our condo buildings are no different. The process begins in the drawing-room with ideas and planners and ends at the peak of beautiful buildings all around the city. Want to learn about how the construction process begins and ends? Follow along on our new How It’s Done series, beginning with the first edition: Shoring. Continue reading